Let’s take a break from the photo blog and let me you tell you a story of Lucy and Lassy – the newest addition to my pet family.
Addition and subtraction is a part of our life too… Dearest Tiger’s demise was such blow to our family, especially to Dad, that we planned not to keep a dog anymore. As I entered our garden, I missed its joyful barking and welcoming embrace, only to be surprised by two quaking creatures… muddling in the mud…
Lucy and Lassy, who were meant to end up on dinner table were rescued by my Jeev-hatya-paap-hai Mom from the clutches of my Dad and since then these two quack quacks have become personal favourite of Mom. She would bath them, feed them and won’t even let us make omelette of their eggs.
There are around two containers full of eggs which she feverously protects from our greedy stomach. Her plan is to make Lucy and Lassy hatch those eggs and nurture a family of ducklings 🙄 , to the utter dismay of my dad 😀 .
Both me and Dad coaxed sister Dahling to scare mom with her Duck Virus Enteritis theories and how herpesvirus can cause fatal duck diseases… plus debating her theories with more facts and figures {Although we didn’t understand any of her scientific terminologies, she still had our whole hearte support} Let’s see how much it helps in deterring Mom from going forward with her plan of happy ducky family.
During my stay at Sister’s hostel in Guwahati, I got the chance to meet His royal Highness Golu the cat again, owned by Ashimi, sister’s friend. It seems Golu had expertise in slapping and biting and now he got a partner too- an orange cat Mojo, who’s still learning the tricks. Golu had taught Mojo how to use $h*t-box and how to cover the $h*t with sand, how to drink water from fish bowl.
Mojo being a brilliant student has learned the art pretty well. But that day we discovered it’s another hidden talent– the art of hair trimming. My sister, while she was cuddling and coochie-cooing it, received a trendy haircut by his specialized paws. Have a look.
Back to Chennai:
Our Goldfish Zack is growing into a PYT (Pretty young Thing) 😀 . My roomie got a new home for it. New pebbles, a new plastic coral, and a new plastic fish too 🙂
Thats all from my end today.
woow cool i am so glad you liked it 😀
thanks a lot 😀
hehehe lucky ducky 😛
thanks a lot 😀
thanks a lot
and welcome to my blog 🙂
is it true!!!
sounds cool 😀
thanks a lot 😀
hehehe 😀 chase chase seems a good excercise too 😛
thanks a lot 😀
i love my fishy a lottt 😀
**Next to the piece, the page also holds crystal structures**
-- begin --
This record from the Materials Project database describes crystalline MgFeP2O7 at its relaxed geometry. The functional is PBE+U.

```
MgFeP2O7
1.0
5.5763 -0.1090 0.2566
-1.4371 12.1825 1.4368
0.0835 -0.0098 7.4161
P O Fe Mg
8 28 4 4
direct
0.0315 0.8414 0.0937
0.1758 0.4003 0.3865
0.8241 0.5998 0.6132
0.6760 0.9002 0.3868
0.5310 0.3413 0.0936
0.3242 0.0997 0.6136
0.9689 0.1586 0.9065
0.4687 0.6587 0.9062
0.9352 0.3239 0.4314
0.7326 0.4321 0.1179
0.8470 0.8897 0.5418
0.6531 0.6103 0.4581
0.1431 0.5205 0.3297
0.0821 0.7257 0.1709
0.3471 0.3895 0.5413
0.4355 0.8238 0.4315
0.5648 0.1761 0.5687
0.8568 0.4796 0.6702
0.2672 0.5678 0.8821
0.5444 0.6559 0.1025
0.7873 0.8591 0.2070
0.6431 0.0204 0.3299
0.9182 0.2742 0.8290
0.4557 0.3440 0.8973
0.2330 0.9322 0.1178
0.9556 0.8440 0.8975
0.0646 0.6762 0.5684
0.3568 0.9795 0.6704
0.0442 0.1559 0.1028
0.1528 0.1105 0.4587
0.2865 0.3592 0.2064
0.7128 0.6410 0.7929
0.5816 0.2258 0.1711
0.2134 0.1408 0.7936
0.7674 0.0679 0.8821
0.4179 0.7743 0.8291
0.6630 0.9209 0.8004
0.8371 0.5792 0.1995
0.3369 0.0792 0.2003
0.1630 0.4208 0.7997
0.6590 0.3284 0.6517
0.1588 0.8283 0.6519
0.8409 0.1716 0.3484
0.3412 0.6716 0.3481
```

## Properties
The total magnetization comes out at 0.0000 μB/atom. Its energy above the most stable polymorph in this dataset is 0 meV per atom. The value obtained for the energy of formation from the pure elements is -2.68 eV per atom.


DFT (PBE-GGA) results for an optimized crystal structure of SmCuO3.

Results
The value obtained for the electronic total energy is -33.66 eV/f.u. Its formation enthalpy at 0 K is -12.06 eV/f.u.

Structure (extended XYZ):
```
20
Lattice="-0.101 -5.130 -1.556 6.311 0.024 -0.487 0.537 -2.094 6.865" Properties=species:S:1:pos:R:3 pbc="T T T"
Sm 0.683 -5.521 0.149
Sm 2.864 -3.996 4.217
Sm 3.884 -3.204 0.605
Sm 6.065 -1.679 4.673
Cu -0.050 -2.565 -0.778
Cu 0.218 -3.612 2.654
Cu 3.155 0.012 -0.243
Cu 3.424 -1.035 3.189
O 0.556 -4.707 4.180
O 1.272 -2.242 3.355
O 1.489 -3.086 6.123
O 2.327 -4.600 1.823
O 2.111 -3.756 -0.945
O 3.064 -1.085 1.316
O 3.684 -6.115 3.506
O 4.637 -3.444 5.767
O 4.420 -2.600 2.999
O 5.259 -4.113 -1.301
O 5.475 -4.957 1.467
O 6.191 -2.493 0.642
```

DFT (PBE-GGA) results for an optimized crystal structure of LiBiCSO7.

Results
The value obtained for the electronic total energy is -69.96 eV/f.u. Its formation enthalpy at 0 K is -20.97 eV/f.u. For the total magnetization, the calculation gives 0.000 μB per atom.

Structure (extended XYZ):
```
22
Lattice="6.972 0.000 0.000 0.000 5.445 0.000 0.000 0.137 9.209" Properties=species:S:1:pos:R:3 pbc="T T T"
Li 3.488 1.576 7.599
Li 0.002 4.006 1.610
Bi 5.251 4.320 5.958
Bi 1.765 1.262 3.251
C 5.122 4.051 8.613
C 1.636 1.531 0.595
S 1.811 4.028 5.460
S 5.297 1.553 3.748
O 1.914 1.800 8.605
O 5.139 5.237 7.980
O 4.839 3.027 7.797
O 0.615 4.425 6.255
O 2.946 4.873 5.964
O 5.086 1.249 5.216
O 2.120 2.594 5.594
O 5.606 2.988 3.615
O 1.600 4.333 3.992
O 6.433 0.709 3.245
O 4.101 1.157 2.954
O 1.353 2.555 1.412
-- stop --
thanks a lot 😀
you too taking mom's side 😀
well i just don't want a family of ducks 😛 one or two is ok 😛
thanks a lot 😀
ya new home 😀
hehehe seems a lot of cats have clawed you 😛
thanks a lot 😀
@Bride 24
welcome to my blog
glad to have you here 🙂
thanks a lot 🙂
thank you so mu
three poetry awards,
hot blog award,
what fabulous post!
love it!
Nice narration. Beautiful pictures. Thanks for sharing.